What to do.
What is needed: reproduce everything below without altering anything.
Material.
+++
{"formula": "C34H34N4O9SSi2W", "method": "wB97M-V/def2-TZVPD", "de_lowest_kj_mol": 0.00, "s2": 2.0396, "homo_lumo_gap_ev": [5.33, 7.37], "spin_multiplicity": 3, "homo_energy_ev": [-6.178, -8.097], "species": ["W", "O", "C", "O", "C", "C", "C", "C", "C", "C", "O", "N", "O", "O", "N", "O", "O", "H", "H", "C", "Si", "C", "C", "C", "C", "C", "C", "C", "Si", "C", "C", "H", "H", "H", "H", "H", "H", "H", "H", "H", "H", "H", "H", "H", "H", "H", "H", "C", "O", "C", "C", "C", "C", "C", "C", "N", "C", "C", "C", "C", "C", "C", "C", "O", "H", "H", "H", "H", "H", "H", "H", "H", "H", "H", "H", "H", "H", "S", "C", "C", "N", "C", "H", "H", "H"], "xyz": [[-0.991, -0.561, 0.438], [-1.563, 3.121, -0.462], [-1.923, 1.985, -0.603], [-1.056, 0.971, -0.766], [-3.371, 1.624, -0.660], [-4.245, 2.564, -1.176], [-5.595, 2.277, -1.230], [-6.109, 1.091, -0.740], [-5.233, 0.195, -0.174], [-3.838, 0.395, -0.144], [-3.046, -0.516, 0.362], [-5.805, -1.021, 0.414], [-6.665, -1.597, -0.219], [-5.401, -1.363, 1.510], [-6.519, 3.262, -1.807], [-6.045, 4.294, -2.237], [-7.705, 2.993, -1.798], [-3.871, 3.512, -1.534], [-7.167, 0.880, -0.783], [-3.097, -3.481, -0.702], [-1.720, -2.344, -1.317], [-2.391, -1.402, -2.808], [-0.309, -3.462, -1.842], [-0.493, -4.695, -2.480], [0.595, -5.456, -2.871], [1.887, -4.991, -2.633], [2.078, -3.776, -1.999], [0.985, -2.999, -1.591], [1.186, -1.333, -0.724], [2.624, -1.567, 0.486], [1.728, -0.047, -1.984], [-3.544, -4.001, -1.554], [-3.890, -2.943, -0.185], [-2.710, -4.245, -0.024], [-2.555, -2.103, -3.631], [-1.712, -0.622, -3.155], [-3.350, -0.935, -2.569], [-1.493, -5.068, -2.672], [0.446, -6.410, -3.361], [2.740, -5.582, -2.941], [3.091, -3.433, -1.821], [3.391, -2.186, 0.014], [2.358, -2.042, 1.435], [3.073, -0.603, 0.728], [2.580, -0.431, -2.552], [2.030, 0.881, -1.495], [0.929, 0.195, -2.686], [6.636, 4.350, 0.464], [5.359, 3.793, 0.713], [4.324, 4.210, -0.081], [4.433, 5.129, -1.105], [3.303, 5.473, -1.848], [2.082, 4.900, -1.554], [1.966, 3.975, -0.520], [3.084, 3.617, 0.218], [3.064, 2.689, 1.261], [2.025, 1.869, 1.568], [2.059, 0.978, 2.658], [3.100, 0.922, 3.612], [3.086, -0.003, 4.639], [2.039, -0.908, 4.773], [0.995, -0.887, 3.849], [1.020, 0.024, 2.820], [0.015, 0.053, 1.896], [6.976, 4.116, -0.548], [7.311, 3.898, 1.185], [6.627, 5.434, 0.603], [5.386, 5.582, -1.337], [3.393, 6.193, -2.650], [1.200, 5.169, -2.118], [0.993, 3.559, -0.299], [3.945, 2.574, 1.736], [1.166, 1.914, 0.920], [3.920, 1.628, 3.562], [3.899, -0.012, 5.353], [2.029, -1.620, 5.587], [0.160, -1.573, 3.930], [-1.040, -4.612, 2.813], [-2.471, -3.732, 3.132], [-2.471, -2.572, 2.437], [-1.345, -2.385, 1.666], [-0.506, -3.388, 1.778], [-3.239, -4.108, 3.785], [-3.261, -1.838, 2.404], [0.431, -3.434, 1.241]], "lowdin_charge": [1.5064, 0.1335, -0.5080, -0.2259, -0.0443, 0.0890, -0.1202, 0.0931, -0.0549, -0.2578, -0.2598, -0.3406, 0.1030, 0.0791, -0.3545, 0.0853, 0.0798, 0.1401, 0.1395, -0.1841, 0.5231, -0.1833, -0.3153, -0.0915, -0.0865, -0.0862, -0.0966, -0.3176, 0.5147, -0.1871, -0.1923, 0.0384, 0.0087, 0.0253, 0.0352, 0.0248, 0.0250, 0.0998, 0.1010, 0.1010, 0.0939, 0.0246, 0.0221, 0.0240, 0.0349, 0.0170, 0.0242, -0.0747, -0.0977, -0.2203, -0.0273, -0.0910, -0.0845, -0.0119, -0.1655, 0.0970, -0.0373, -0.1710, -0.0257, -0.0919, -0.0844, -0.0277, -0.3106, -0.2897, 0.0968, 0.0926, 0.0970, 0.1018, 0.1013, 0.1058, 0.0882, 0.1244, 0.0993, 0.1046, 0.1023, 0.0994, 0.1042, 1.0843, -0.3495, -0.2114, -0.1969, -0.4690, 0.0805, 0.1004, 0.0782]}
+++
Result.
{"formula": "C34H34N4O9SSi2W", "method": "wB97M-V/def2-TZVPD", "de_lowest_kj_mol": 0.00, "s2": 2.0396, "homo_lumo_gap_ev": [5.33, 7.37], "spin_multiplicity": 3, "homo_energy_ev": [-6.178, -8.097], "species": ["W", "O", "C", "O", "C", "C", "C", "C", "C", "C", "O", "N", "O", "O", "N", "O", "O", "H", "H", "C", "Si", "C", "C", "C", "C", "C", "C", "C", "Si", "C", "C", "H", "H", "H", "H", "H", "H", "H", "H", "H", "H", "H", "H", "H", "H", "H", "H", "C", "O", "C", "C", "C", "C", "C", "C", "N", "C", "C", "C", "C", "C", "C", "C", "O", "H", "H", "H", "H", "H", "H", "H", "H", "H", "H", "H", "H", "H", "S", "C", "C", "N", "C", "H", "H", "H"], "xyz": [[-0.991, -0.561, 0.438], [-1.563, 3.121, -0.462], [-1.923, 1.985, -0.603], [-1.056, 0.971, -0.766], [-3.371, 1.624, -0.660], [-4.245, 2.564, -1.176], [-5.595, 2.277, -1.230], [-6.109, 1.091, -0.740], [-5.233, 0.195, -0.174], [-3.838, 0.395, -0.144], [-3.046, -0.516, 0.362], [-5.805, -1.021, 0.414], [-6.665, -1.597, -0.219], [-5.401, -1.363, 1.510], [-6.519, 3.262, -1.807], [-6.045, 4.294, -2.237], [-7.705, 2.993, -1.798], [-3.871, 3.512, -1.534], [-7.167, 0.880, -0.783], [-3.097, -3.481, -0.702], [-1.720, -2.344, -1.317], [-2.391, -1.402, -2.808], [-0.309, -3.462, -1.842], [-0.493, -4.695, -2.480], [0.595, -5.456, -2.871], [1.887, -4.991, -2.633], [2.078, -3.776, -1.999], [0.985, -2.999, -1.591], [1.186, -1.333, -0.724], [2.624, -1.567, 0.486], [1.728, -0.047, -1.984], [-3.544, -4.001, -1.554], [-3.890, -2.943, -0.185], [-2.710, -4.245, -0.024], [-2.555, -2.103, -3.631], [-1.712, -0.622, -3.155], [-3.350, -0.935, -2.569], [-1.493, -5.068, -2.672], [0.446, -6.410, -3.361], [2.740, -5.582, -2.941], [3.091, -3.433, -1.821], [3.391, -2.186, 0.014], [2.358, -2.042, 1.435], [3.073, -0.603, 0.728], [2.580, -0.431, -2.552], [2.030, 0.881, -1.495], [0.929, 0.195, -2.686], [6.636, 4.350, 0.464], [5.359, 3.793, 0.713], [4.324, 4.210, -0.081], [4.433, 5.129, -1.105], [3.303, 5.473, -1.848], [2.082, 4.900, -1.554], [1.966, 3.975, -0.520], [3.084, 3.617, 0.218], [3.064, 2.689, 1.261], [2.025, 1.869, 1.568], [2.059, 0.978, 2.658], [3.100, 0.922, 3.612], [3.086, -0.003, 4.639], [2.039, -0.908, 4.773], [0.995, -0.887, 3.849], [1.020, 0.024, 2.820], [0.015, 0.053, 1.896], [6.976, 4.116, -0.548], [7.311, 3.898, 1.185], [6.627, 5.434, 0.603], [5.386, 5.582, -1.337], [3.393, 6.193, -2.650], [1.200, 5.169, -2.118], [0.993, 3.559, -0.299], [3.945, 2.574, 1.736], [1.166, 1.914, 0.920], [3.920, 1.628, 3.562], [3.899, -0.012, 5.353], [2.029, -1.620, 5.587], [0.160, -1.573, 3.930], [-1.040, -4.612, 2.813], [-2.471, -3.732, 3.132], [-2.471, -2.572, 2.437], [-1.345, -2.385, 1.666], [-0.506, -3.388, 1.778], [-3.239, -4.108, 3.785], [-3.261, -1.838, 2.404], [0.431, -3.434, 1.241]], "lowdin_charge": [1.5064, 0.1335, -0.5080, -0.2259, -0.0443, 0.0890, -0.1202, 0.0931, -0.0549, -0.2578, -0.2598, -0.3406, 0.1030, 0.0791, -0.3545, 0.0853, 0.0798, 0.1401, 0.1395, -0.1841, 0.5231, -0.1833, -0.3153, -0.0915, -0.0865, -0.0862, -0.0966, -0.3176, 0.5147, -0.1871, -0.1923, 0.0384, 0.0087, 0.0253, 0.0352, 0.0248, 0.0250, 0.0998, 0.1010, 0.1010, 0.0939, 0.0246, 0.0221, 0.0240, 0.0349, 0.0170, 0.0242, -0.0747, -0.0977, -0.2203, -0.0273, -0.0910, -0.0845, -0.0119, -0.1655, 0.0970, -0.0373, -0.1710, -0.0257, -0.0919, -0.0844, -0.0277, -0.3106, -0.2897, 0.0968, 0.0926, 0.0970, 0.1018, 0.1013, 0.1058, 0.0882, 0.1244, 0.0993, 0.1046, 0.1023, 0.0994, 0.1042, 1.0843, -0.3495, -0.2114, -0.1969, -0.4690, 0.0805, 0.1004, 0.0782]}